Matlab smooth a 3d mesh plot - matlab

Hi I have a set of data A with each element corresponding to an x and y combination. When I plot this dat using mesh I get a graph with many spikes on it. This is not unnexpected but I would like a way to smooth these out to get a smooth surface.
I've tried to use the smooth3 command but cannot figure out how to make the suitable input.
Any help would be appreciated. Thanks
This is how my data is generated.
function v = f(x,y) % Not actual function
return x*rand()+y*rand()
x = 0.05:0.01:0.95;
y = 0.05:0.01:0.95;
o = zeros(length(x),length(y));
A = zeros(length(x), length(y));
for k = 1:5
for i = 1:length(x)
for j = 1:length(y)
o(i,j) = f([x(i), y(j)]);
A= A+o;
A = A/5;
This is what produces the plot.
[X,Y] = meshgrid(x);

my be you can try a convolution of your variable A with a filter(the following is an example of a Gaussian filter).
C = conv2(A,fspecial('gaussian', hsize, sigma));
check conv2 and fspecial in matlab help


Plotting the Lagrange interpolated curve on top of the equidistant points

I have made a simple code for Lagrange interpolation of vectors of data x and y and , but I need some help with plotting and displaying errors.
I wish to plot the equidistant points together with the Lagrange Interpolated curve in the same plot, and display the error of the approximation. Plotting the points is trivial, but I struggle with plotting the interpolated polynomial curve on top of the (x,y) plot.
x = -1:0.25:1;
y = 1./(1+25.*x.^2);
N = 1:length(y);
M = zeros(length(y),length(x));
for n = 1:length(x)
for i = 1:length(y)
l = 1;
index = find(N ~= i);
for jj = 1:length(index)
l = l.*(x(n)-y(index(jj)))./(y(i)-y(index(jj)));
M(i,n) = l;
All help is appreciated

Plot quiver polar coordinates

I want to plot the field distribution inside a circular structure with radius a.
What I expect to see are circular arrows that from the centre 0 go toward a in the radial direction like this
but I'm obtaining something far from this result. I wrote this
x_np = besselzero(n, p, 1); %toolbox from for the roots
R = 0.1:1:a; PHI = 0:pi/180:2*pi;
for r = 1:size(R,2)
for phi = 1:size(PHI,2)
u_R(r,phi) = -1/2*((besselj(n-1,x_np*R(1,r)/a)-besselj(n+1,x_np*R(1,r)/a))/a)*cos(n*PHI(1,phi));
u_PHI(r,phi) = n*(besselj(n,x_np*R(1,r)/a)/(x_np*R(1,r)))*sin(PHI(1,phi));
[X,Y] = meshgrid(R);
where u_R is supposed to be the radial component and u_PHI the angular component. Supposing the formulas that I'm writing are correct, do you think there is a problem with for cycles? Plus, since R and PHI are not with the same dimension (in this case R is 1x20 and PHI 1X361) I also get the error
The size of X must match the size of U or the number of columns of U.
that I hope to solve it if I figure out which is the problem with the cycles.
This is the plot that I get
The problem has to do with a difference in co-ordinate systems.
quiver expects inputs in a Cartesian co-ordinate system.
The rest of your code seems to be expressed in a polar co-ordinate system.
Here's a snippet that should do what you want. The initial parameters section is filled in with random values because I don't have besselzero or the other details of your problem.
% Define initial parameters
x_np = 3;
a = 1;
n = 1;
% Set up domain (Cartesian)
x = -a:0.1:a;
y = -a:0.1:a;
[X, Y] = meshgrid(x, y);
% Allocate output
U = zeros(size(X));
V = zeros(size(X));
% Loop over each point in domain
for ii = 1:length(x)
for jj = 1:length(y)
% Compute polar representation
r = norm([X(ii,jj), Y(ii,jj)]);
phi = atan2(Y(ii,jj), X(ii,jj));
% Compute polar unit vectors
rhat = [cos(phi); sin(phi)];
phihat = [-sin(phi); cos(phi)];
% Compute output (in polar co-ordinates)
u_R = -1/2*((besselj(n-1, x_np*r/a)-besselj(n+1, x_np*r/a))/a)*cos(n*phi);
u_PHI = n*(besselj(n, x_np*r/a)/(x_np*r))*sin(phi);
% Transform output to Cartesian co-ordinates
U(ii,jj) = u_R*rhat(1) + u_PHI*phihat(1);
V(ii,jj) = u_R*rhat(2) + u_PHI*phihat(2);
% Generate quiver plot
quiver(X, Y, U, V);

........
[1]
Entry from Materials Project: a relaxed KNbAg2Se4 crystal (PBE).

Calculated values
Largest piezoelectric modulus: 0.79 C/m²
Calculated formation energy: -7.20 eV/f.u.

```
16
Lattice="1.318 5.254 8.929 -3.641 0.364 -9.781 -7.422 -2.666 2.664" Properties=species:S:1:pos:R:3 pbc="T T T"
K -4.267 2.090 -3.293
K -6.172 2.538 4.851
Nb -8.177 2.410 -0.862
Nb -3.349 4.845 2.021
Ag -5.846 3.828 0.549
Ag -2.135 5.161 -0.783
Ag -7.025 -0.409 -0.472
Ag -2.177 2.045 2.484
Se -3.316 3.031 0.297
Se -6.914 2.622 9.271
Se -3.260 3.934 7.960
Se -8.178 0.695 -2.580
Se -2.341 4.125 4.109
Se -3.332 1.538 -7.643
Se -7.125 1.602 1.260
Se -6.985 0.225 -6.332
```



[2]
Entry from Materials Project: a relaxed YTaP2SO12 crystal (PBE).

Calculated values
Calculated formation energy: -49.16 eV/f.u.

```
102
Lattice="9.072 0.000 0.000 -4.536 7.865 -0.056 0.000 -0.169 22.993" Properties=species:S:1:pos:R:3 pbc="T T T"
Y 9.048 -0.043 8.319
Y 0.025 -0.128 19.815
Y 4.511 2.522 15.965
Y 4.561 2.607 4.468
Y -0.025 5.257 0.617
Y 0.025 5.172 12.114
Ta 8.970 -0.055 14.803
Ta 0.102 0.029 3.307
Ta 4.434 2.510 22.449
Ta 4.638 2.595 10.953
Ta -0.102 5.245 7.102
Ta 0.102 5.160 18.599
P -1.971 7.690 5.694
P -1.115 2.266 5.751
P 1.115 2.182 17.248
P 1.971 7.605 17.190
P 7.102 2.390 13.395
P 3.421 4.832 13.397
P 5.651 4.916 1.900
P 1.971 2.474 1.898
P 2.566 4.955 21.041
P -1.115 7.397 21.043
P 1.115 7.482 9.546
P -2.566 5.040 9.544
S 3.051 5.680 5.698
S -3.051 5.596 17.195
S 3.051 0.380 13.400
S 6.021 0.465 1.903
S -1.485 2.946 21.046
S 1.485 3.030 9.549
O 1.726 0.029 6.970
O 3.661 6.235 6.904
O 8.163 1.418 6.971
O 0.909 1.334 18.467
O 5.412 6.150 18.400
O 7.346 -0.056 18.467
O 2.929 7.388 15.927
O 0.463 1.429 15.993
O -3.309 6.451 16.003
O 3.309 6.535 4.507
O -0.463 1.513 4.496
O -2.929 7.472 4.431
O 6.263 2.594 14.616
O 3.661 0.935 14.605
O 3.627 3.984 14.617
O 5.445 4.068 3.120
O 5.412 1.020 3.109
O 2.810 2.679 3.119
O 2.929 2.257 0.636
O 5.000 4.163 0.645
O 5.763 1.320 0.711
O 3.309 1.235 12.208
O 4.073 4.079 12.142
O 6.144 2.172 12.132
O 1.726 5.160 22.262
O -0.875 3.500 22.251
O -0.909 6.549 22.263
O 0.909 6.633 10.766
O 0.875 3.585 10.755
O -1.726 5.244 10.765
O -1.607 4.822 8.281
O 0.463 6.728 8.291
O 1.227 3.885 8.357
O -1.227 3.801 19.854
O -0.463 6.644 19.788
O 1.607 4.738 19.778
O 5.500 6.119 9.249
O 7.095 -0.059 9.302
O 1.016 1.655 9.355
O 8.056 1.570 20.852
O 1.977 -0.144 20.799
O 3.572 6.034 20.746
O 7.925 1.026 13.610
O 1.549 0.310 13.617
O 4.180 6.209 13.644
O 4.892 6.294 2.147
O 7.523 0.394 2.120
O 1.147 1.110 2.113
O 5.500 0.819 16.951
O 2.559 2.506 16.948
O 5.552 4.220 17.001
O 3.520 4.305 5.505
O 6.513 2.591 5.451
O 3.572 0.904 5.454
O 3.389 3.591 21.256
O 6.086 2.875 21.263
O 4.180 0.910 21.345
O 4.892 0.994 9.849
O 2.987 2.960 9.766
O 5.684 3.676 9.759
O 0.964 3.553 1.603
O -1.977 5.241 1.601
O 1.016 6.955 1.654
O -1.016 6.870 13.151
O 1.977 5.156 13.097
O -0.964 3.469 13.100
O -1.147 6.326 5.908
O 1.549 5.610 5.915
O -0.356 3.644 5.998
O 0.356 3.560 17.495
........

MATLAB - adding plot to another plot after loop, more sophisticatedly

i have a problem and i hope that i will find help there.
This is my example code. Its only part of my algorithm. For imagine, how the point are moving, during the equations, i need show contour of function with two variables and into the points. Becase i have more difficult function than parabolic function, so the equations are too long than i need. For this reason i move contour ploting before the loop. But i have problem. I need show countour always and points only for i-loop and my solution doesnt work. Please help me!
[R S] = meshgrid(-5:0.1:5, -5:0.1:5);
contour(R, S, R.^2 + S.^2, 5);
axis square
hold on
for i=1:50
a = 0;
b = 1:2
B = repmat(b,5,1)
A = unifrnd(a,B)
x = A(1:5,1);
y = A(1:5,2);
hold off
You should store the handle to your scatter plot and simply update the XData and YData properties of it rather than destroying the plot objects every time
[R S] = meshgrid(-5:0.1:5, -5:0.1:5);
contour(R, S, R.^2 + S.^2, 5);
axis square
hold on
% Create a scatter plot and store the graphics handle so we can update later
hscatter = scatter(NaN, NaN, 'fill');
for i=1:50
a = 0;
b = 1:2
B = repmat(b,5,1)
A = unifrnd(a,B)
x = A(1:5,1);
y = A(1:5,2);
% Update the X and Y positions of the scatter plot
set(hscatter, 'XData', x, 'YData', y);

3D filled line plot

I have a matrix for contact positions and these positions are linear, therefore I can easily plot the contact positions within MATLAB and come out with the x amount of lines. At the moment I am plotting within a 2D graph.
for j= 1:5
for k= 1:20
x_axis = linspace(0,b*1000, N+1);
for j=1:zPairs;
hold on
hold off
The above is only a small section of a large coding so all variables and parameters are stated else where.
Below is the graph this simply creates with a 2D graph:
What I wish to do is plot the correspoding contact to each of these positions, contact only occurs at positions > 0 and therefore will only occur along the lines plotted above. Therefore the plot will need to be in a 3D format and I am assuming that the lines will be plotted initially, then the contact_force and then a fill command as such - but I may be wrong.
What I am aiming to create is something similar to:
If any one has any guidance or tips it will be greatly appreciated as I am getting nowhere.
Please note the contact_force is also a matrix of the same dimensions as the contact positions.
for j = 1:zPairs
Xx = linspace(0,b*1000,N+1);
Yy = Yijk(j,:,1);
n = length(Xx);
Zz = contact_force(j,:,1);
Xp = zeros(2*n,1);
Yp = zeros(2*n,1);
Xp(1:N+1) = Xx;
Xp(N+2:2*(N+1)) = Xx(N+1:-1:1);
Yp(1:N+1) = Yy;
Yp(N+2:2*(N+1)) = Yy(N+1:-1:1);
Zp(1:N+1) = 0;
Zp(N+2:2*(N+1)) = Zz(N+1:-1:1);
hold on
title('Zone of Contact');
hold off
The above code works great, but only creates one graph as it is for (j,:,1). I would like to change this so as that it is for (j,:,k) and k number of graphs are created. How would I set up this for loop ?
I wrote a little MATLAB code to test it out. This program creates a polygon on top of a 2D line. fill3 or patch functions are what you are looking for.
a = 2;
b = 1;
X = 0:10;
Y = a*X + b;
n = length(X);
Z = rand(n,1)*2+1;
Xp = zeros(2*n,1);
Yp = zeros(2*n,1);
Xp(1:n) = X;
Xp(n+1:2*n) = X(n:-1:1);
Yp(1:n) = Y;
Yp(n+1:2*n) = Y(n:-1:1);
Zp(1:n) = 0;
Zp(n+1:2*n) = Z(n:-1:1);

Hatching area between two symbolic curves matlab

I need to shade the area between symbolic curves and the x axis.
syms x
j(1) = x^2
j(2) = x^3
j(3) = x^5
j(4) = x^6
for i = 1:4
f(i) = ezplot(j(i),[0,6000]);
This gives me an error. After looking in the matlab documentation, i end up with codes like
f1 := plot::Function2d(sqrt(x), x = 0..2, Color = RGB::Black):
Is this even matlab code? What's with the "::" and ":="? Why does this throw an error?
Thanks for any help guys!
The line f1 := plot::Function2d(sqrt(x), x = 0..2, Color = RGB::Black): is for MuPad (Symbolic Math toolbox). However, you can evaluate the symbolic functions without this toolbox using Matlab's ezplot.
The following figure
is given by (please see the comments that made your code work)
f{1} = 'x^2'; % declare as cell array {} of string ''
f{2} = 'x^3';
f{3} = 'x^5';
f{4} = 'x^6';
figure('Color', 'w');
for ii = 1:4 %do not use i or j in Matlab
h(ii) = ezplot(f{ii},[0,6000]); %the correct way to call ezplot
x = get(h(ii), 'XData'); %get the x and y data
y = get(h(ii), 'YData');
area(x,y,'FaceColor',[.7 0 0]); %plot the (x,y) area in red
Write you command under mupad and after to call it with Matlab command window have a look to this : MatLab and MuPad
For more information go here